Knowing God’s Plan

We often wonder how to know God’s plan for our lives. We want to be sure not to mis His direction. We want to do the things He has planned for us (see Ephesians 2:10).

If you’re anything like me, you’ve wondered how to be sure you are following His lead and making the right choices.

┌──
Entry 1:
Structure and simulated PXRD pattern of Ga8BIr4 (DFT lattice parameters and positions (GGA-PBE); CuKα).
Lines closer than 0.1° are merged.

Structural model:
a b c (Å): 12.2557 12.2557 12.2557
angles (deg): 138.81 138.81 59.66
Element x y z (fractional)
Ga 0.0054 0.9752 0.5988
Ga 0.0248 0.1236 0.0302
Ga 0.0933 0.6236 0.5988
Ga 0.1236 0.5933 0.0988
Ga 0.1264 0.1524 0.4027
Ga 0.1524 0.2497 0.0259
Ga 0.2237 0.7497 0.5973
Ga 0.2503 0.3476 0.4741
Ga 0.2497 0.7237 0.0973
Ga 0.2763 0.8736 0.5259
Ga 0.3476 0.3736 0.0973
Ga 0.3736 0.7763 0.0259
Ga 0.3764 0.4752 0.4698
Ga 0.4067 0.0054 0.5302
Ga 0.4752 0.5054 0.0988
Ga 0.4946 0.0933 0.9698
Ga 0.5054 0.9067 0.0302
Ga 0.5248 0.4946 0.9012
Ga 0.5933 0.9946 0.4698
Ga 0.6236 0.5248 0.5302
Ga 0.6264 0.2237 0.9741
Ga 0.6524 0.6264 0.9027
Ga 0.7237 0.1264 0.4741
Ga 0.7503 0.2763 0.9027
Ga 0.7497 0.6524 0.5259
Ga 0.7763 0.2503 0.4027
Ga 0.8476 0.7503 0.9741
Ga 0.8736 0.8476 0.5973
Ga 0.8764 0.4067 0.9012
Ga 0.9067 0.3764 0.4012
Ga 0.9752 0.8764 0.9698
Ga 0.9946 0.0248 0.4012
B 0.1250 0.3750 0.7500
B 0.3750 0.1250 0.2500
B 0.6250 0.8750 0.7500
B 0.8750 0.6250 0.2500
Ir 0.0231 0.2731 0.7500
Ir 0.0509 0.4491 0.2500
Ir 0.1991 0.9491 0.8982
Ir 0.2269 0.4769 0.7500
Ir 0.2731 0.0231 0.2500
Ir 0.3009 0.1991 0.7500
Ir 0.4491 0.6991 0.3982
Ir 0.4769 0.2269 0.2500
Ir 0.5231 0.7731 0.7500
Ir 0.5509 0.3009 0.6018
Ir 0.6991 0.8009 0.2500
Ir 0.7269 0.9769 0.7500
Ir 0.7731 0.5231 0.2500
Ir 0.8009 0.0509 0.1018
Ir 0.9491 0.5509 0.7500
Ir 0.9769 0.7269 0.2500

Peak list (12 most intense, 2θ from 15° to 90°, by angle)
two_theta	I/Imax
26.3	162
26.6	1000
31.3	271
37.7	272
41.8	674
43.5	460
45.2	426
45.3	378
45.4	440
47.1	264
63.3	145
71.3	195

=====

Entry 2:
Structure and simulated PXRD pattern of AlCu4Si2 (DFT lattice parameters and positions (GGA-PBE); CuKα).
Lines closer than 0.1° are merged.

Structural model:
a b c (Å): 6.8954 3.9552 7.4231
angles (deg): 90.00 108.36 90.00
Element x y z (fractional)
Al 0.1479 0.2500 0.2893
Al 0.8521 0.7500 0.7107
Cu 0.0709 0.2500 0.9363
Cu 0.0827 0.2500 0.6053
Cu 0.4684 0.2500 0.1255
Cu 0.4884 0.2500 0.6161
Cu 0.5116 0.7500 0.3839
Cu 0.5316 0.7500 0.8745
Cu 0.9173 0.7500 0.3947
Cu 0.9291 0.7500 0.0637
Si 0.2752 0.7500 0.5750
Si 0.2766 0.7500 0.0395
Si 0.7234 0.2500 0.9605
Si 0.7248 0.2500 0.4250

Peak list (12 most intense, 2θ from 15° to 90°, by angle)
two_theta	I/Imax
25.3	236
27.3	609
33.6	269
34.1	289
35.6	333
38.5	313
39.8	399
44.9	366
45.9	1000
47.5	532
47.6	602
49.3	398

=====

Entry 3:
Structure and simulated PXRD pattern of TbPm2HgN (DFT lattice parameters and positions (GGA-PBE); CuKα).
Lines closer than 0.1° are merged.

Structural model:
a b c (Å): 4.9854 4.9854 4.8152
angles (deg): 90.00 90.00 90.00
Element x y z (fractional)
Tb 0.0000 0.0000 0.0000
Pm 0.0000 0.5000 0.5000
Pm 0.5000 0.0000 0.5000
Hg 0.5000 0.5000 0.0000
N 0.0000 0.0000 0.5000

Peak list (12 most intense, 2θ from 15° to 90°, by angle)
two_theta	I/Imax
31.5	1000
36.0	379
37.4	172
51.9	134
52.9	253
61.9	295
└──

I’ve come to see that there’s really nothing to it. The book of Genesis recounts the story of Joseph. You can find the account in Genesis chapters 37 through 46.

Joseph had a dream about sheaves of wheat bowing down to him and the sun and moon bowing down to him. These dreams made his brothers very angry because they interpreted them (rightly) to mean that they would be bowing down to their younger brother and so would their parents.

Consequently, the boys plotted to kill Joseph. They threw him in a pit and when some traveling merchants happened by, they decided to sell Joseph as a slave instead. These merchants took Joseph to Egypt and sold him to a high-ranking official. While there, he was wrongly accused of trying to seduce his master’s wife. This landed him in prison for a few years.

Unrelated to this article: calculated crystals >
-- begin --
Record 1
SmZn12: computed powder X-ray diffraction pattern (Cu Kα, 1.54184 Å), based on a structure optimized by DFT (PBE).
Lines closer than 0.1° are merged.

Peak list (8 most intense, 2θ from 10° to 80°, in order of falling intensity)
2θ (°), d/Å, Rel. int., hkl
40.26, 2.240, 100, 4 0 0
40.10, 2.249, 47, 2 0 2
34.65, 2.589, 30, 3 0 1
73.15, 1.294, 27, 6 0 2
45.12, 2.010, 24, 2 2 2
45.27, 2.003, 19, 4 2 0
28.13, 3.172, 15, 2 1 1
65.68, 1.422, 14, 3 2 3

Cell and atoms:
```
data_SmZn12
_chemical_formula_sum 'Sm2 Zn24'
_symmetry_space_group_name_H-M 'I 4/m m m'
_symmetry_Int_Tables_number 139
_symmetry_space_group_name_Hall '-I 4 2'
_cell_length_a 8.954
_cell_length_b 8.954
_cell_length_c 5.202
_cell_angle_alpha 90.00
_cell_angle_beta 90.00
_cell_angle_gamma 90.00
loop_
_atom_site_label
_atom_site_fract_x
_atom_site_fract_y
_atom_site_fract_z
Sm1 0.000 0.000 0.000
Zn1 0.000 0.218 0.500
Zn2 0.000 0.355 0.000
Zn3 0.250 0.250 0.250
```



Record 2
SmZn3: computed powder X-ray diffraction pattern (Cu Kα, 1.54184 Å), based on a structure optimized by DFT (PBE).
Lines closer than 0.1° are merged.

Peak list (8 most intense, 2θ from 10° to 80°, in order of falling intensity)
2θ (°), d/Å, Rel. int., hkl
35.61, 2.521, 100, 1 1 3
34.45, 2.603, 83, 2 1 1
40.21, 2.243, 43, 0 2 0
42.77, 2.114, 23, 2 1 3
37.54, 2.396, 22, 1 0 4
44.07, 2.055, 19, 3 0 2
54.35, 1.688, 16, 0 2 4
35.00, 2.564, 15, 0 0 4

Cell and atoms:
```
data_SmZn3
_chemical_formula_sum 'Sm4 Zn12'
_symmetry_space_group_name_H-M 'P n m a'
_symmetry_Int_Tables_number 62
_symmetry_space_group_name_Hall '-P 2ac 2n'
_cell_length_a 6.728
_cell_length_b 4.485
_cell_length_c 10.256
_cell_angle_alpha 90.00
_cell_angle_beta 90.00
_cell_angle_gamma 90.00
loop_
_atom_site_label
_atom_site_fract_x
_atom_site_fract_y
_atom_site_fract_z
Sm1 0.221 0.250 0.162
Zn1 0.036 0.750 0.396
Zn2 0.083 0.250 0.852
Zn3 0.217 0.750 0.957
```



Record 3
Sm3Zn11: computed powder X-ray diffraction pattern (Cu Kα, 1.54184 Å), based on a structure optimized by DFT (PBE).
Lines closer than 0.1° are merged.

Peak list (8 most intense, 2θ from 10° to 80°, in order of falling intensity)
2θ (°), d/Å, Rel. int., hkl
35.09, 2.557, 100, 1 2 3
40.62, 2.221, 45, 2 0 0
36.18, 2.483, 34, 1 3 0
36.41, 2.467, 26, 0 3 3
35.54, 2.526, 25, 1 1 4
38.80, 2.321, 24, 1 3 2
33.93, 2.642, 23, 0 2 4
41.45, 2.178, 21, 0 0 6

Cell and atoms:
```
data_Sm3Zn11
_chemical_formula_sum 'Sm6 Zn22'
_symmetry_space_group_name_H-M 'I m m m'
_symmetry_Int_Tables_number 71
_symmetry_space_group_name_Hall '-I 2 2'
_cell_length_a 4.442
_cell_length_b 8.981
_cell_length_c 13.071
_cell_angle_alpha 90.00
_cell_angle_beta 90.00
_cell_angle_gamma 90.00
loop_
_atom_site_label
_atom_site_fract_x
_atom_site_fract_y
_atom_site_fract_z
Sm1 0.000 0.000 0.000
Sm2 0.000 0.000 0.300
Zn1 0.000 0.192 0.500
Zn2 0.000 0.278 0.138
Zn3 0.000 0.361 0.339
Zn4 0.000 0.500 0.000
```



Record 4
-- stop --

Ultimately, Joseph interpreted a dream for Pharaoh. The dream foretold that there would be seven very productive years followed by seven years of extreme famine. Joseph was made the second-highest ranking official in Egypt so that he could save up grain and other supplies during the good years for use during the bad.

During the famine, Israel sent his sons to Egypt to buy food and the man to whom they had to go was their brother Joseph who they had sold into slavery years before.

In Genesis 45:7 Joseph says, “So God sent me ahead of you to ensure for you a remnant on the earth, and to keep you alive by a great deliverance.” (NASB 2020)

Did you catch that? God’s plan for Joseph included him being sold into slavery and spending a few years in prison before God’s ultimate plan to save Israel from the famine came to light.

So, when we want to know what to do to be sure we are following God’s plan for our lives, we really need look no further than the situation in which we find ourselves. Just as Joseph did nothing to control the direction or outcome of his life other than trusting God, so we can rely on God for the outcomes.

(The page is interrupted by materials data)
........
This entry pairs a crystal structure of Li3FeP2O8 with its calculated PXRD pattern. Radiation: Cu Kα, 1.54184 Å. Structure: a crystal structure in Alexandria, relaxed with PBE+U.

Largest 10 diffraction maxima, most intense first, 2θ = 10–80°:
(hkl)	two_theta	intensity
1 2 0	24.34	100
0 1 1	14.74	91
0 4 2	34.57	67
1 6 -1	35.24	55
1 2 -2	25.44	52
0 3 1	20.41	37
1 1 -2	23.90	31
1 3 0	26.81	29
1 2 1	34.14	20
0 8 2	49.89	20

a b c (Å): 4.9436 17.8378 7.8668
angles (deg): 90.00 125.78 90.00
Sites, in units of the cell vectors:
Li 0.0016 0.0585 0.2160
Li 0.0016 0.4415 0.7160
Li 0.2797 0.1158 0.9970
Li 0.2797 0.3842 0.4970
Li 0.3656 0.6995 0.6853
Li 0.3656 0.8005 0.1853
Li 0.6344 0.1995 0.8147
Li 0.6344 0.3005 0.3147
Li 0.7203 0.6158 0.5030
Li 0.7203 0.8842 0.0030
Li 0.9984 0.5585 0.2840
Li 0.9984 0.9415 0.7840
Fe 0.1771 0.6270 0.9838
Fe 0.1771 0.8730 0.4838
Fe 0.8229 0.1270 0.5162
Fe 0.8229 0.3730 0.0162
P 0.1234 0.2157 0.2910
P 0.1234 0.2843 0.7910
P 0.4860 0.5356 0.7688
P 0.4860 0.9644 0.2688
P 0.5140 0.0356 0.7312
P 0.5140 0.4644 0.2312
P 0.8766 0.7157 0.2090
P 0.8766 0.7843 0.7090
O 0.0470 0.1731 0.0998
O 0.0470 0.3269 0.5998
O 0.1534 0.1975 0.7683
O 0.1534 0.3025 0.2683
O 0.1548 0.6989 0.1768
O 0.1548 0.8011 0.6768
O 0.1821 0.5602 0.7720
O 0.1821 0.9398 0.2720
O 0.1829 0.0671 0.5353
O 0.1829 0.4329 0.0353
O 0.4288 0.5641 0.5684
O 0.4288 0.9359 0.0684
O 0.4700 0.1918 0.4909
O 0.4700 0.3082 0.9909
O 0.4887 0.0526 0.2768
O 0.4887 0.4474 0.7768
O 0.5113 0.5526 0.2232
O 0.5113 0.9474 0.7232
O 0.5300 0.6918 0.0091
O 0.5300 0.8082 0.5091
O 0.5712 0.0641 0.9316
O 0.5712 0.4359 0.4316
O 0.8171 0.5671 0.9647
O 0.8171 0.9329 0.4647
O 0.8179 0.0602 0.7280
O 0.8179 0.4398 0.2280
O 0.8452 0.1989 0.3232
O 0.8452 0.3011 0.8232
O 0.8466 0.6975 0.7317
O 0.8466 0.8025 0.2317
O 0.9530 0.6731 0.4002
O 0.9530 0.8269 0.9002

~~~~~

No. 1
The following is a theoretical PXRD pattern of Ba2InGaSn6. It was derived from DFT lattice parameters and positions (GGA-PBE), using Cu Kα.
Intensities are scaled so that the largest is 100.

Structure:
Cell lengths 6.5918, 8.9662, 11.2233 Å; angles 90.00, 90.00, 90.00 degrees
Space group Pmmn (No. 59, origin choice 2)
Symmetry-distinct sites (fractional):
Ba 0.2500 0.0036 0.2292 (multiplicity 4)
In 0.2500 0.7500 0.7781 (multiplicity 2)
Ga 0.2500 0.2500 0.8095 (multiplicity 2)
Sn 0.0091 0.7500 0.5089 (multiplicity 4)
Sn 0.0160 0.7500 0.0024 (multiplicity 4)
Sn 0.2500 0.0312 0.6342 (multiplicity 4)

Largest 6 diffraction maxima, in order of rising 2θ, 5 to 70 degrees two-theta:
| 2θ/deg | I_rel | (hkl) |
| --- | --- | --- |
| 25.4 | 72 | 0 2 2 |
| 31.5 | 100 | 2 0 2 |
| 33.8 | 59 | 2 2 0 |
| 34.0 | 48 | 1 2 3 |
| 40.2 | 43 | 0 4 0 |
| 52.0 | 48 | 2 4 2 |

---

No. 2
The following is a theoretical PXRD pattern of Sr3Zn8Pt3. It was derived from DFT lattice parameters and positions (GGA-PBE), using Cu Kα.
Intensities are scaled so that the largest is 100.

Structure:
........

We need only do what lies before us. Simply living our lives as they come under the assumption that He is at work and is fully able to ensure His intended results come to fruition.

This is the Sabbath rest for God’s people.
This is the light yoke and easy burden.
This is faith working through Love.


Falling from Grace


Escaping Deception